**Job:**
Restate everything further below word for word.

**Input:**
+++
# GaFeAgW2

Crystalline GaFeAgW2 at its relaxed geometry (PBE, Alexandria via LeMat-Bulk).

Values from the calculation:
* formation energy from the elements: 1011 kJ/mol of formula units
* total energy: -5.954 eV per atom
* theoretical density: 10.4 g/cm³
* D(E_F): 4.8 states/eV per cell

abc: 4.6328 4.6328 4.4821
angles: 90.00 90.00 90.00
Space group P4/mmm (No. 123)
Unique sites:
Ga1 0.0000 0.0000 0.0000 (multiplicity 1)
Fe1 0.5000 0.5000 0.5000 (multiplicity 1)
Ag1 0.0000 0.0000 0.5000 (multiplicity 1)
W1 0.0000 0.5000 0.0000 (multiplicity 2)

~~~~~

Computed, not measured: an optimized crystal structure of Ag2MoO4 at the PBE+U level of DFT.

Cell lengths 6.693, 6.693, 6.693 Å; angles 60.00, 60.00, 60.00 degrees
Positions (direct):
1 Ag 0.125 0.625 0.125
2 Ag 0.125 0.125 0.625
3 Ag 0.625 0.125 0.125
4 Ag 0.125 0.125 0.125
5 O 0.419 0.860 0.860
6 O 0.390 0.390 0.390
7 O 0.860 0.860 0.860
8 O 0.860 0.419 0.860
9 O 0.831 0.390 0.390
10 O 0.860 0.860 0.419
11 O 0.390 0.831 0.390
12 O 0.390 0.390 0.831
13 Mo 0.500 0.500 0.500
14 Mo 0.750 0.750 0.750

Output
As for the spin magnetization: 0.0 μB/cell. The calculation puts the polymorph energy (0 for the lowest one) at 0 meV per atom. The space-group type is No. 227. The calculated total energy is -78.252 eV/cell.
+++

**Reply:**
# GaFeAgW2

Crystalline GaFeAgW2 at its relaxed geometry (PBE, Alexandria via LeMat-Bulk).

Values from the calculation:
* formation energy from the elements: 1011 kJ/mol of formula units
* total energy: -5.954 eV per atom
* theoretical density: 10.4 g/cm³
* D(E_F): 4.8 states/eV per cell

abc: 4.6328 4.6328 4.4821
angles: 90.00 90.00 90.00
Space group P4/mmm (No. 123)
Unique sites:
Ga1 0.0000 0.0000 0.0000 (multiplicity 1)
Fe1 0.5000 0.5000 0.5000 (multiplicity 1)
Ag1 0.0000 0.0000 0.5000 (multiplicity 1)
W1 0.0000 0.5000 0.0000 (multiplicity 2)

~~~~~

Computed, not measured: an optimized crystal structure of Ag2MoO4 at the PBE+U level of DFT.

Cell lengths 6.693, 6.693, 6.693 Å; angles 60.00, 60.00, 60.00 degrees
Positions (direct):
1 Ag 0.125 0.625 0.125
2 Ag 0.125 0.125 0.625
3 Ag 0.625 0.125 0.125
4 Ag 0.125 0.125 0.125
5 O 0.419 0.860 0.860
6 O 0.390 0.390 0.390
7 O 0.860 0.860 0.860
8 O 0.860 0.419 0.860
9 O 0.831 0.390 0.390
10 O 0.860 0.860 0.419
11 O 0.390 0.831 0.390
12 O 0.390 0.390 0.831
13 Mo 0.500 0.500 0.500
14 Mo 0.750 0.750 0.750

Output
As for the spin magnetization: 0.0 μB/cell. The calculation puts the polymorph energy (0 for the lowest one) at 0 meV per atom. The space-group type is No. 227. The calculated total energy is -78.252 eV/cell.